Restate the block below with every line break kept, please.

+++
No. 1
Density functional theory data (wB97M-V/def2-TZVPD) for a molecular structure, C40H57Br4N2O11P2Ta.

* ΔE to the lowest compared entry with this formula, charge and spin: 123.9 kJ/mol
* LUMO level: -1.587 eV
* spin multiplicity: 1

Atoms and positions in Å:
Ta: 2.06 -0.98 0.79
C: -6.66 -0.42 -1.10
C: -5.80 0.85 -1.14
C: -5.49 1.19 -2.58
C: -6.58 2.03 -0.53
C: -4.53 0.61 -0.32
C: -3.27 0.63 -0.79
C: -2.12 0.34 0.08
N: -0.85 0.40 -0.21
C: -0.27 0.88 -1.39
C: -0.78 1.94 -2.18
C: -0.20 2.28 -3.39
C: 0.91 1.55 -3.80
C: 1.51 0.56 -3.05
C: 0.93 0.22 -1.81
O: 1.46 -0.76 -1.09
C: 2.76 -0.16 -3.57
C: 3.95 0.05 -2.63
C: 3.18 0.36 -4.95
C: 2.44 -1.66 -3.71
C: -0.71 3.38 -4.33
C: 0.34 4.50 -4.40
C: -0.92 2.79 -5.74
C: -2.03 3.97 -3.87
C: -2.43 -0.22 1.44
O: -1.55 -0.76 2.09
C: -3.83 -0.09 1.95
C: -4.76 0.32 1.08
C: -4.19 -0.52 3.36
C: -3.33 0.26 4.38
C: -5.65 -0.21 3.70
C: -4.00 -2.05 3.49
H: -7.55 -0.28 -1.71
H: -6.98 -0.67 -0.09
H: -6.10 -1.27 -1.50
H: -6.42 1.33 -3.14
H: -4.92 0.40 -3.08
H: -4.92 2.12 -2.64
H: -7.45 2.26 -1.16
H: -5.95 2.92 -0.48
H: -6.94 1.81 0.47
H: -3.09 0.78 -1.84
H: -1.58 2.54 -1.78
H: 1.36 1.82 -4.74
H: 4.28 1.09 -2.66
H: 4.78 -0.58 -2.96
H: 3.72 -0.22 -1.60
H: 3.43 1.42 -4.93
H: 2.42 0.18 -5.71
H: 4.08 -0.18 -5.26
H: 2.23 -2.11 -2.75
H: 3.30 -2.17 -4.15
H: 1.59 -1.81 -4.37
H: 1.31 4.12 -4.72
H: 0.46 4.98 -3.43
H: 0.02 5.27 -5.12
H: 0.02 2.54 -6.22
H: -1.44 3.52 -6.37
H: -1.53 1.88 -5.69
H: -1.94 4.44 -2.89
H: -2.78 3.19 -3.82
H: -2.36 4.73 -4.58
H: -5.78 0.38 1.43
H: -3.68 1.30 4.42
H: -2.28 0.30 4.12
H: -3.44 -0.17 5.38
H: -5.88 0.85 3.59
H: -5.83 -0.48 4.74
H: -6.35 -0.79 3.09
H: -3.10 -2.40 3.01
H: -4.84 -2.55 3.00
H: -4.00 -2.35 4.54
N: -0.29 -2.68 4.06
C: 1.20 -2.76 3.81
C: 1.83 -3.59 4.91
P: 1.60 -0.92 3.98
O: 3.09 -0.63 4.45
O: 0.68 -0.51 5.08
O: 1.36 -0.30 2.60
P: 1.38 -3.62 2.17
O: 0.07 -4.58 2.36
O: 2.55 -4.47 1.94
O: 0.96 -2.60 1.07
H: -0.40 -2.04 4.86
H: -0.68 -3.61 4.18
H: -0.78 -2.20 3.27
H: 1.77 -3.07 5.87
H: 2.87 -3.78 4.68
H: 1.32 -4.55 5.00
H: 3.05 -0.34 5.37
H: 0.24 -5.42 1.90
Br: 7.65 -4.85 2.80
C: 6.33 -3.98 1.78
C: 6.23 -4.22 0.41
Br: 7.39 -5.43 -0.44
C: 5.26 -3.55 -0.34
Br: 5.06 -3.80 -2.20
C: 4.38 -2.69 0.28
O: 3.39 -2.03 -0.32
C: 4.44 -2.50 1.66
O: 3.43 -1.74 2.12
C: 5.43 -3.10 2.40
Br: 5.55 -2.74 4.24
C: 2.84 2.51 2.15
C: 3.32 1.99 0.80
C: 4.85 1.99 0.75
C: 2.73 2.83 -0.32
O: 2.89 0.64 0.65
H: 3.17 3.53 2.30
H: 3.23 1.88 2.96
H: 1.75 2.47 2.20
H: 5.23 2.99 0.93
H: 5.19 1.65 -0.23
H: 5.24 1.31 1.50
H: 3.06 3.86 -0.22
H: 1.64 2.80 -0.29
H: 3.06 2.45 -1.30

=====

No. 2
Density functional theory data (wB97M-V/def2-TZVPD) for 7 unconnected molecules or ions with the total composition C40H57IN8O5.

* SMILES: CCCCO[C@@]1(C[C@@H](C)I)[C@H](OC#N)NC(=O)[C@@H]1OCCOCC.c1cc[nH]c1.c1cc[nH]c1.c1cc[nH]c1.c1cc[nH]c1.c1cc[nH]c1.c1cc[nH]c1
* LUMO level: -0.295 eV
* spin multiplicity: 1

Atoms and positions in Å:
C: 4.85 3.72 -0.83
C: 4.28 4.22 0.50
C: 2.86 4.78 0.33
C: 1.86 3.65 0.15
O: 0.62 4.18 -0.27
C: -0.34 3.27 -0.78
C: -1.72 3.78 -0.27
C: -2.45 5.00 -0.85
C: -1.60 6.16 -1.36
I: -4.00 4.48 -2.26
C: -0.10 3.02 -2.29
O: -1.00 3.80 -3.12
C: -1.05 3.40 -4.35
N: -1.02 3.19 -5.49
N: -0.30 1.60 -2.58
C: -0.96 1.11 -1.39
O: -1.93 0.43 -1.36
C: -0.23 1.82 -0.25
O: -0.64 1.65 1.05
C: -0.65 0.30 1.52
C: 0.74 -0.36 1.58
O: 0.81 -1.53 0.79
C: 1.59 -1.42 -0.38
C: 3.10 -1.31 -0.12
H: 4.60 2.66 -0.95
H: 5.94 3.78 -0.86
H: 4.41 4.25 -1.68
H: 4.90 5.02 0.90
H: 4.22 3.39 1.21
H: 2.80 5.40 -0.57
H: 2.56 5.42 1.16
H: 2.27 2.94 -0.58
H: 1.76 3.11 1.10
H: -2.44 2.95 -0.22
H: -1.52 4.03 0.77
H: -3.04 5.39 -0.03
H: -2.19 7.08 -1.31
H: -1.28 6.05 -2.39
H: -0.72 6.30 -0.73
H: 0.90 3.33 -2.59
H: 0.58 1.13 -2.76
H: 0.80 1.46 -0.41
H: -1.05 0.36 2.53
H: -1.34 -0.32 0.95
H: 0.94 -0.66 2.61
H: 1.51 0.36 1.31
H: 1.38 -2.32 -0.96
H: 1.25 -0.57 -1.00
H: 3.30 -1.00 0.90
H: 3.61 -2.25 -0.34
H: 3.53 -0.55 -0.77
C: -3.33 -3.48 -4.44
C: -1.92 -3.67 -4.50
C: -1.35 -2.70 -3.72
N: -2.35 -1.94 -3.19
C: -3.56 -2.40 -3.63
+++

No. 1
Density functional theory data (wB97M-V/def2-TZVPD) for a molecular structure, C40H57Br4N2O11P2Ta.

* ΔE to the lowest compared entry with this formula, charge and spin: 123.9 kJ/mol
* LUMO level: -1.587 eV
* spin multiplicity: 1

Atoms and positions in Å:
Ta: 2.06 -0.98 0.79
C: -6.66 -0.42 -1.10
C: -5.80 0.85 -1.14
C: -5.49 1.19 -2.58
C: -6.58 2.03 -0.53
C: -4.53 0.61 -0.32
C: -3.27 0.63 -0.79
C: -2.12 0.34 0.08
N: -0.85 0.40 -0.21
C: -0.27 0.88 -1.39
C: -0.78 1.94 -2.18
C: -0.20 2.28 -3.39
C: 0.91 1.55 -3.80
C: 1.51 0.56 -3.05
C: 0.93 0.22 -1.81
O: 1.46 -0.76 -1.09
C: 2.76 -0.16 -3.57
C: 3.95 0.05 -2.63
C: 3.18 0.36 -4.95
C: 2.44 -1.66 -3.71
C: -0.71 3.38 -4.33
C: 0.34 4.50 -4.40
C: -0.92 2.79 -5.74
C: -2.03 3.97 -3.87
C: -2.43 -0.22 1.44
O: -1.55 -0.76 2.09
C: -3.83 -0.09 1.95
C: -4.76 0.32 1.08
C: -4.19 -0.52 3.36
C: -3.33 0.26 4.38
C: -5.65 -0.21 3.70
C: -4.00 -2.05 3.49
H: -7.55 -0.28 -1.71
H: -6.98 -0.67 -0.09
H: -6.10 -1.27 -1.50
H: -6.42 1.33 -3.14
H: -4.92 0.40 -3.08
H: -4.92 2.12 -2.64
H: -7.45 2.26 -1.16
H: -5.95 2.92 -0.48
H: -6.94 1.81 0.47
H: -3.09 0.78 -1.84
H: -1.58 2.54 -1.78
H: 1.36 1.82 -4.74
H: 4.28 1.09 -2.66
H: 4.78 -0.58 -2.96
H: 3.72 -0.22 -1.60
H: 3.43 1.42 -4.93
H: 2.42 0.18 -5.71
H: 4.08 -0.18 -5.26
H: 2.23 -2.11 -2.75
H: 3.30 -2.17 -4.15
H: 1.59 -1.81 -4.37
H: 1.31 4.12 -4.72
H: 0.46 4.98 -3.43
H: 0.02 5.27 -5.12
H: 0.02 2.54 -6.22
H: -1.44 3.52 -6.37
H: -1.53 1.88 -5.69
H: -1.94 4.44 -2.89
H: -2.78 3.19 -3.82
H: -2.36 4.73 -4.58
H: -5.78 0.38 1.43
H: -3.68 1.30 4.42
H: -2.28 0.30 4.12
H: -3.44 -0.17 5.38
H: -5.88 0.85 3.59
H: -5.83 -0.48 4.74
H: -6.35 -0.79 3.09
H: -3.10 -2.40 3.01
H: -4.84 -2.55 3.00
H: -4.00 -2.35 4.54
N: -0.29 -2.68 4.06
C: 1.20 -2.76 3.81
C: 1.83 -3.59 4.91
P: 1.60 -0.92 3.98
O: 3.09 -0.63 4.45
O: 0.68 -0.51 5.08
O: 1.36 -0.30 2.60
P: 1.38 -3.62 2.17
O: 0.07 -4.58 2.36
O: 2.55 -4.47 1.94
O: 0.96 -2.60 1.07
H: -0.40 -2.04 4.86
H: -0.68 -3.61 4.18
H: -0.78 -2.20 3.27
H: 1.77 -3.07 5.87
H: 2.87 -3.78 4.68
H: 1.32 -4.55 5.00
H: 3.05 -0.34 5.37
H: 0.24 -5.42 1.90
Br: 7.65 -4.85 2.80
C: 6.33 -3.98 1.78
C: 6.23 -4.22 0.41
Br: 7.39 -5.43 -0.44
C: 5.26 -3.55 -0.34
Br: 5.06 -3.80 -2.20
C: 4.38 -2.69 0.28
O: 3.39 -2.03 -0.32
C: 4.44 -2.50 1.66
O: 3.43 -1.74 2.12
C: 5.43 -3.10 2.40
Br: 5.55 -2.74 4.24
C: 2.84 2.51 2.15
C: 3.32 1.99 0.80
C: 4.85 1.99 0.75
C: 2.73 2.83 -0.32
O: 2.89 0.64 0.65
H: 3.17 3.53 2.30
H: 3.23 1.88 2.96
H: 1.75 2.47 2.20
H: 5.23 2.99 0.93
H: 5.19 1.65 -0.23
H: 5.24 1.31 1.50
H: 3.06 3.86 -0.22
H: 1.64 2.80 -0.29
H: 3.06 2.45 -1.30

=====

No. 2
Density functional theory data (wB97M-V/def2-TZVPD) for 7 unconnected molecules or ions with the total composition C40H57IN8O5.

* SMILES: CCCCO[C@@]1(C[C@@H](C)I)[C@H](OC#N)NC(=O)[C@@H]1OCCOCC.c1cc[nH]c1.c1cc[nH]c1.c1cc[nH]c1.c1cc[nH]c1.c1cc[nH]c1.c1cc[nH]c1
* LUMO level: -0.295 eV
* spin multiplicity: 1

Atoms and positions in Å:
C: 4.85 3.72 -0.83
C: 4.28 4.22 0.50
C: 2.86 4.78 0.33
C: 1.86 3.65 0.15
O: 0.62 4.18 -0.27
C: -0.34 3.27 -0.78
C: -1.72 3.78 -0.27
C: -2.45 5.00 -0.85
C: -1.60 6.16 -1.36
I: -4.00 4.48 -2.26
C: -0.10 3.02 -2.29
O: -1.00 3.80 -3.12
C: -1.05 3.40 -4.35
N: -1.02 3.19 -5.49
N: -0.30 1.60 -2.58
C: -0.96 1.11 -1.39
O: -1.93 0.43 -1.36
C: -0.23 1.82 -0.25
O: -0.64 1.65 1.05
C: -0.65 0.30 1.52
C: 0.74 -0.36 1.58
O: 0.81 -1.53 0.79
C: 1.59 -1.42 -0.38
C: 3.10 -1.31 -0.12
H: 4.60 2.66 -0.95
H: 5.94 3.78 -0.86
H: 4.41 4.25 -1.68
H: 4.90 5.02 0.90
H: 4.22 3.39 1.21
H: 2.80 5.40 -0.57
H: 2.56 5.42 1.16
H: 2.27 2.94 -0.58
H: 1.76 3.11 1.10
H: -2.44 2.95 -0.22
H: -1.52 4.03 0.77
H: -3.04 5.39 -0.03
H: -2.19 7.08 -1.31
H: -1.28 6.05 -2.39
H: -0.72 6.30 -0.73
H: 0.90 3.33 -2.59
H: 0.58 1.13 -2.76
H: 0.80 1.46 -0.41
H: -1.05 0.36 2.53
H: -1.34 -0.32 0.95
H: 0.94 -0.66 2.61
H: 1.51 0.36 1.31
H: 1.38 -2.32 -0.96
H: 1.25 -0.57 -1.00
H: 3.30 -1.00 0.90
H: 3.61 -2.25 -0.34
H: 3.53 -0.55 -0.77
C: -3.33 -3.48 -4.44
C: -1.92 -3.67 -4.50
C: -1.35 -2.70 -3.72
N: -2.35 -1.94 -3.19
C: -3.56 -2.40 -3.63